Work order:
Next, echo only the lines further below with the word "Cr1" in them.
Listing:
........
VASP calculation (GGA-PBE) on ZnCr2Mo after structural relaxation.

## Properties
Fermi-level density of states   5.5 states/eV/cell
Symmetry   R-3m (166)
Crystal system   trigonal
E   -29.68 eV/f.u.

a b c (Å): 9.215 9.215 9.215
angles (deg): 16.45 16.45 16.45
Atoms (fractional coordinates):
Zn1 0.000 0.000 0.000
Cr1 0.252 0.252 0.252
Cr2 0.748 0.748 0.748
Mo1 0.500 0.500 0.500


VASP calculation (GGA-PBE) on Zn3CrMo after structural relaxation.

## Properties
Fermi-level density of states   7.8 states/eV/cell
Symmetry   Pm-3m (221)
Crystal system   cubic
E   -17.39 eV/f.u.

a b c (Å): 4.506 4.506 4.506
angles (deg): 90.00 90.00 90.00
Atoms (fractional coordinates):
Zn1 0.000 0.000 0.500
Zn2 0.000 0.500 0.000
Zn3 0.500 0.000 0.000
Cr1 0.000 0.000 0.000
Mo1 0.500 0.500 0.500


VASP calculation (GGA-PBE) on ZnCr2Mo after structural relaxation.

## Properties
Fermi-level density of states   3.6 states/eV/cell
Symmetry   P4/mmm (123)
Crystal system   tetragonal
E   -29.98 eV/f.u.

a b c (Å): 2.528 2.528 8.472
angles (deg): 90.00 90.00 90.00
Atoms (fractional coordinates):
Zn1 0.000 0.000 0.000
Cr1 0.500 0.500 0.238
Cr2 0.500 0.500 0.762
Mo1 0.000 0.000 0.500


VASP calculation (GGA-PBE) on ZnCr2Mo after structural relaxation.

## Properties
Fermi-level density of states   4.9 states/eV/cell
Symmetry   P4/mmm (123)
Crystal system   tetragonal
E   -30.58 eV/f.u.

a b c (Å): 3.083 3.083 5.814
angles (deg): 90.00 90.00 90.00
Atoms (fractional coordinates):
Zn1 0.000 0.000 0.000
Cr1 0.500 0.500 0.255
Cr2 0.500 0.500 0.745
Mo1 0.000 0.000 0.500


VASP calculation (GGA-PBE) on ZnCr2Mo after structural relaxation.

## Properties
Fermi-level density of states   2.8 states/eV/cell
Symmetry   Cmm2 (35)
Crystal system   orthorhombic
E   -30.75 eV/f.u.

a b c (Å): 2.584 2.584 8.471
angles (deg): 90.00 90.00 108.28
Atoms (fractional coordinates):
Zn1 0.000 0.000 0.000
Cr1 0.000 0.000 0.528
Cr2 0.500 0.500 0.748
Mo1 0.500 0.500 0.275


VASP calculation (GGA-PBE) on ZnCr2Mo after structural relaxation.

## Properties
Fermi-level density of states   2.9 states/eV/cell
Symmetry   C2/m (12)
Crystal system   monoclinic
E   -30.40 eV/f.u.

a b c (Å): 5.003 5.003 2.549
angles (deg): 100.53 100.53 116.88
Atoms (fractional coordinates):
Zn1 0.000 0.000 0.000
Cr1 0.000 0.500 0.500
Cr2 0.500 0.000 0.500
Mo1 0.500 0.500 0.000


VASP calculation (GGA-PBE) on ZnCr2Mo after structural relaxation.

## Properties
Fermi-level density of states   3.7 states/eV/cell
Symmetry   Cmmm (65)
Crystal system   orthorhombic
E   -29.94 eV/f.u.

a b c (Å): 4.822 4.822 2.531
angles (deg): 90.00 90.00 113.49
Atoms (fractional coordinates):
Zn1 0.000 0.000 0.000
Cr1 0.000 0.500 0.500
Cr2 0.500 0.000 0.500
Mo1 0.500 0.500 0.000


VASP calculation (GGA-PBE) on Zr2CrMo after structural relaxation.

## Properties
Fermi-level density of states   5.5 states/eV/cell
Symmetry   F-43m (216)
Energy relative to the lowest polymorph listed for this composition   158 meV/atom
Crystal system   cubic
E   -36.59 eV/f.u.

a b c (Å): 4.632 4.632 4.632
angles (deg): 60.00 60.00 60.00
Atoms (fractional coordinates):
Zr1 0.000 0.000 0.000
Zr2 0.250 0.250 0.250
Cr1 0.500 0.500 0.500
Mo1 0.750 0.750 0.750


VASP calculation (GGA-PBE) on ZrCr2Mo after structural relaxation.

## Properties
Fermi-level density of states   10.1 states/eV/cell
Symmetry   I-42d (122)
Energy relative to the lowest polymorph listed for this composition   573 meV/atom
Crystal system   tetragonal
E   -35.82 eV/f.u.

a b c (Å): 5.612 5.612 5.612
angles (deg): 103.77 103.77 121.60
Atoms (fractional coordinates):
Zr1 0.000 0.000 0.000
Zr2 0.750 0.250 0.500
Cr1 0.154 0.625 0.029
Cr2 0.375 0.404 0.529
Cr3 0.596 0.125 0.971
Cr4 0.875 0.846 0.471
Mo1 0.250 0.750 0.500
Mo2 0.500 0.500 0.000


VASP calculation (GGA-PBE) on ZrCrMo after structural relaxation.

## Properties
Fermi-level density of states   6.6 states/eV/cell
Symmetry   Cm (8)
Energy relative to the lowest polymorph listed for this composition   288 meV/atom
........
Result:
Cr1 0.252 0.252 0.252
Cr1 0.000 0.000 0.000
Cr1 0.500 0.500 0.238
Cr1 0.500 0.500 0.255
Cr1 0.000 0.000 0.528
Cr1 0.000 0.500 0.500
Cr1 0.000 0.500 0.500
Cr1 0.500 0.500 0.500
Cr1 0.154 0.625 0.029